Record 1
Density functional theory data (PBE) for an optimized crystal structure of LaPmTe2.

Results
ΔE_f (raw): -5.5 eV/f.u.
energy relative to the lowest polymorph listed for this composition: 122 meV per atom
mass density: 7.558 g/cm³

a b c (Å): 5.5104 5.5104 3.9006
angles (deg): 90.00 90.00 90.00
Closest atoms and distances in Å follow each position.
Space group P4/mmm (No. 123)
Unique sites:
La  0.0000  0.0000  0.0000  8 Te 3.38
Pm  0.5000  0.5000  0.0000  8 Te 3.38
Te  0.0000  0.5000  0.5000  4 La 3.38, 4 Pm 3.38

=====

Record 2
Density functional theory data (PBE) for an optimized crystal structure of Ba2LiAlSn2.

Results
energy of formation from the pure elements: -12.72 kcal/mol of atoms
mass density: 4.767 g/cm³

a b c (Å): 6.9666 15.6846 6.9624
angles (deg): 90.00 90.00 90.00
Closest atoms and distances in Å follow each position.
Space group Ibam (No. 72)
Unique sites:
Ba  0.2460  0.1582  0.0000  2 Li 3.48, 2 Al 3.51, 5 Sn 3.56-3.80
Li  0.0000  0.0000  0.2500  4 Sn 2.96
Al  0.0000  0.5000  0.2500  4 Sn 2.88
Sn  0.2400  0.4003  0.0000  2 Al 2.88, 2 Li 2.96

=====

Record 3
Density functional theory data (PBE) for an optimized crystal structure of SmIn3Pd3.

Results
energy of formation from the pure elements: -11.62 kcal/mol of atoms
energy relative to the lowest polymorph listed for this composition: 0 meV per atom
mass density: 8.496 g/cm³

a b c (Å): 8.1300 8.1300 16.6776
angles (deg): 90.00 90.00 120.00
Closest atoms and distances in Å follow each position.
Space group R-3 (No. 148, hexagonal axes)
Unique sites:
Sm  0.0000  0.0000  0.1684  6 Pd 2.94-2.99
In  0.0060  0.6611  0.2855  4 Pd 2.75-2.83
Pd  0.0022  0.6983  0.4494  4 In 2.75-2.83, 2 Sm 2.94-2.99, 2 Pd 2.99

=====

Record 4
Density functional theory data (PBE) for an optimized crystal structure of TeHF.

Results
energy relative to the lowest polymorph listed for this composition: 130 meV per atom
mass density: 3.996 g/cm³

a b c (Å): 13.0604 3.9912 4.7221
angles (deg): 90.00 94.52 90.00
Closest atoms and distances in Å follow each position.
Space group Cm (No. 8)
Unique sites:
Te  0.0000  0.0000  0.0000  2 F 2.59, 2 Te 2.84
Te  0.1052  0.5000  0.3388  1 H 1.69
H  0.2072  0.5000  0.1394  1 Te 1.69
H  0.3254  0.0000  0.6301  1 F 1.05
F  0.2463  0.0000  0.5721  1 H 1.05
F  0.4224  0.0000  0.7049  1 H 1.29

=====

Record 5
Density functional theory data (PBE) for an optimized crystal structure of Mg2NiPt.

Results
energy of formation from the pure elements: -11.74 kcal/mol of atoms
mass density: 8.293 g/cm³

a b c (Å): 2.9948 4.4913 4.5018
angles (deg): 90.00 90.00 90.00
Closest atoms and distances in Å follow each position.
Space group Pmm2 (No. 25)
Unique sites:
Mg  0.0000  0.0000  0.0000  4 Pt 2.70, 4 Ni 2.70-2.71, 2 Mg 2.99
Mg  0.0000  0.5000  0.4974  4 Ni 2.70, 4 Pt 2.70, 2 Mg 2.99
Ni  0.5000  0.0000  0.5007  8 Mg 2.70-2.71, 2 Ni 2.99
Pt  0.5000  0.5000  0.9971  8 Mg 2.70, 2 Pt 2.99

=====

Record 6
Density functional theory data (PBE) for an optimized crystal structure of BaMgZn3.

Results
energy of formation from the pure elements: 19.58 kcal/mol of atoms
energy relative to the lowest polymorph listed for this composition: 994 meV per atom
mass density: 2.475 g/cm³

a b c (Å): 6.2153 6.2153 6.2153
angles (deg): 90.00 90.00 90.00
Closest atoms and distances in Å follow each position.
Space group Pm-3m (No. 221)
Unique sites:
Ba  0.0000  0.0000  0.0000  6 Zn 3.11
Mg  0.5000  0.5000  0.5000  12 Zn 4.39
Zn  0.0000  0.0000  0.5000  2 Ba 3.11

=====

Total magnetization, respectively: 0.736 0.000 0.000 0.000 0.000 0.000 μB per formula unit.


Material: HfTi2Zn2
Method: DFT, PBE
State: relaxed

- energy above the lowest structure with this stoichiometry (meV/atom) = 196
- Fermi-level density of states (states/eV per cell) = 11.52

a b c (Å): 3.742 3.742 13.094
angles (deg): 98.21 98.21 90.00
Site moments in Bohr magnetons follow the coordinates.
Positions (direct):
1 Ti 0.750 0.250 0.500  -0.01
2 Ti 0.924 0.924 0.848  0.29
3 Ti 0.076 0.076 0.152  0.29
The reader should duplicate everything earlier on with every line break kept.
Record 1
Density functional theory data (PBE) for an optimized crystal structure of LaPmTe2.

Results
ΔE_f (raw): -5.5 eV/f.u.
energy relative to the lowest polymorph listed for this composition: 122 meV per atom
mass density: 7.558 g/cm³

a b c (Å): 5.5104 5.5104 3.9006
angles (deg): 90.00 90.00 90.00
Closest atoms and distances in Å follow each position.
Space group P4/mmm (No. 123)
Unique sites:
La  0.0000  0.0000  0.0000  8 Te 3.38
Pm  0.5000  0.5000  0.0000  8 Te 3.38
Te  0.0000  0.5000  0.5000  4 La 3.38, 4 Pm 3.38

=====

Record 2
Density functional theory data (PBE) for an optimized crystal structure of Ba2LiAlSn2.

Results
energy of formation from the pure elements: -12.72 kcal/mol of atoms
mass density: 4.767 g/cm³

a b c (Å): 6.9666 15.6846 6.9624
angles (deg): 90.00 90.00 90.00
Closest atoms and distances in Å follow each position.
Space group Ibam (No. 72)
Unique sites:
Ba  0.2460  0.1582  0.0000  2 Li 3.48, 2 Al 3.51, 5 Sn 3.56-3.80
Li  0.0000  0.0000  0.2500  4 Sn 2.96
Al  0.0000  0.5000  0.2500  4 Sn 2.88
Sn  0.2400  0.4003  0.0000  2 Al 2.88, 2 Li 2.96

=====

Record 3
Density functional theory data (PBE) for an optimized crystal structure of SmIn3Pd3.

Results
energy of formation from the pure elements: -11.62 kcal/mol of atoms
energy relative to the lowest polymorph listed for this composition: 0 meV per atom
mass density: 8.496 g/cm³

a b c (Å): 8.1300 8.1300 16.6776
angles (deg): 90.00 90.00 120.00
Closest atoms and distances in Å follow each position.
Space group R-3 (No. 148, hexagonal axes)
Unique sites:
Sm  0.0000  0.0000  0.1684  6 Pd 2.94-2.99
In  0.0060  0.6611  0.2855  4 Pd 2.75-2.83
Pd  0.0022  0.6983  0.4494  4 In 2.75-2.83, 2 Sm 2.94-2.99, 2 Pd 2.99

=====

Record 4
Density functional theory data (PBE) for an optimized crystal structure of TeHF.

Results
energy relative to the lowest polymorph listed for this composition: 130 meV per atom
mass density: 3.996 g/cm³

a b c (Å): 13.0604 3.9912 4.7221
angles (deg): 90.00 94.52 90.00
Closest atoms and distances in Å follow each position.
Space group Cm (No. 8)
Unique sites:
Te  0.0000  0.0000  0.0000  2 F 2.59, 2 Te 2.84
Te  0.1052  0.5000  0.3388  1 H 1.69
H  0.2072  0.5000  0.1394  1 Te 1.69
H  0.3254  0.0000  0.6301  1 F 1.05
F  0.2463  0.0000  0.5721  1 H 1.05
F  0.4224  0.0000  0.7049  1 H 1.29

=====

Record 5
Density functional theory data (PBE) for an optimized crystal structure of Mg2NiPt.

Results
energy of formation from the pure elements: -11.74 kcal/mol of atoms
mass density: 8.293 g/cm³

a b c (Å): 2.9948 4.4913 4.5018
angles (deg): 90.00 90.00 90.00
Closest atoms and distances in Å follow each position.
Space group Pmm2 (No. 25)
Unique sites:
Mg  0.0000  0.0000  0.0000  4 Pt 2.70, 4 Ni 2.70-2.71, 2 Mg 2.99
Mg  0.0000  0.5000  0.4974  4 Ni 2.70, 4 Pt 2.70, 2 Mg 2.99
Ni  0.5000  0.0000  0.5007  8 Mg 2.70-2.71, 2 Ni 2.99
Pt  0.5000  0.5000  0.9971  8 Mg 2.70, 2 Pt 2.99

=====

Record 6
Density functional theory data (PBE) for an optimized crystal structure of BaMgZn3.

Results
energy of formation from the pure elements: 19.58 kcal/mol of atoms
energy relative to the lowest polymorph listed for this composition: 994 meV per atom
mass density: 2.475 g/cm³

a b c (Å): 6.2153 6.2153 6.2153
angles (deg): 90.00 90.00 90.00
Closest atoms and distances in Å follow each position.
Space group Pm-3m (No. 221)
Unique sites:
Ba  0.0000  0.0000  0.0000  6 Zn 3.11
Mg  0.5000  0.5000  0.5000  12 Zn 4.39
Zn  0.0000  0.0000  0.5000  2 Ba 3.11

=====

Total magnetization, respectively: 0.736 0.000 0.000 0.000 0.000 0.000 μB per formula unit.


Material: HfTi2Zn2
Method: DFT, PBE
State: relaxed

- energy above the lowest structure with this stoichiometry (meV/atom) = 196
- Fermi-level density of states (states/eV per cell) = 11.52

a b c (Å): 3.742 3.742 13.094
angles (deg): 98.21 98.21 90.00
Site moments in Bohr magnetons follow the coordinates.
Positions (direct):
1 Ti 0.750 0.250 0.500  -0.01
2 Ti 0.924 0.924 0.848  0.29
3 Ti 0.076 0.076 0.152  0.29